Data:
<<<
Record 1
PBE-GGA CuSn2Br6, relaxed; polymorph energy (0 for the lowest one) = 0 meV per atom; energy relative to the elements, uncorrected = -0.574 eV/atom
1.0
6.516 -9.282 0.000
6.516 9.282 0.000
-2.459 0.000 5.209
Cu Sn Br
2 4 12
direct
0.190 0.810 0.750
0.810 0.190 0.250
0.235 0.446 0.357
0.446 0.235 0.857
0.554 0.765 0.143
0.765 0.554 0.643
0.010 0.215 0.132
0.121 0.620 0.364
0.215 0.010 0.632
0.286 0.453 0.874
0.380 0.879 0.136
0.453 0.286 0.374
0.547 0.714 0.626
0.620 0.121 0.864
0.714 0.547 0.126
0.785 0.990 0.368
0.879 0.380 0.636
0.990 0.785 0.868

***

Record 2
PBE-GGA RbTi2BiCl, relaxed; energy relative to the elements, uncorrected = 0.418 eV/atom
1.0
5.329 0.000 0.000
0.000 5.329 0.000
0.000 0.000 7.963
Rb Ti Bi Cl
1 2 1 1
direct
0.000 0.000 0.000
0.000 0.500 0.500
0.500 0.000 0.500
0.500 0.500 0.500
0.500 0.500 0.000

***

Record 3
PBE-GGA Sm2Al2Pt5Au, relaxed; calculated formation energy = -0.859 eV/atom
1.0
9.872 0.000 0.000
0.000 9.872 0.000
0.000 0.000 3.761
Sm Al Pt Au
4 4 10 2
direct
0.180 0.320 0.000
0.320 0.820 0.000
0.680 0.180 0.000
0.820 0.680 0.000
0.118 0.618 0.000
0.382 0.118 0.000
0.618 0.882 0.000
0.882 0.382 0.000
0.000 0.500 0.500
0.061 0.789 0.500
0.211 0.061 0.500
0.289 0.561 0.500
0.439 0.289 0.500
0.500 0.000 0.500
0.561 0.711 0.500
0.711 0.439 0.500
0.789 0.939 0.500
0.939 0.211 0.500
0.000 0.000 0.000
0.500 0.500 0.000

***

Record 4
PBE-GGA Tb6Dy8Al, relaxed; calculated formation energy = 0.091 eV/atom
1.0
9.351 0.000 0.000
-4.676 8.098 0.000
0.000 0.000 6.222
Tb Dy Al
6 8 1
direct
0.093 0.638 0.188
0.362 0.455 0.188
0.455 0.093 0.812
0.545 0.907 0.188
0.638 0.545 0.812
0.907 0.362 0.812
0.041 0.780 0.697
0.220 0.261 0.697
0.261 0.041 0.303
0.333 0.667 0.687
0.667 0.333 0.313
0.739 0.959 0.697
0.780 0.739 0.303
0.959 0.220 0.303
0.000 0.000 0.000

***

Record 5
PBE-GGA CaTiP2Os, relaxed; calculated formation energy = -0.819 eV/atom
1.0
4.035 0.000 0.000
0.000 4.035 0.000
0.000 0.000 10.378
Ca Ti P Os
2 2 4 2
direct
0.000 0.000 0.000
0.500 0.500 0.500
0.000 0.500 0.250
0.500 0.000 0.750
0.000 0.000 0.380
0.000 0.000 0.620
0.500 0.500 0.120
0.500 0.500 0.880
0.000 0.500 0.750
0.500 0.000 0.250

***

Record 6
PBE-GGA Tb4TmNi4, relaxed; calculated formation energy = -0.263 eV/atom
1.0
8.469 0.000 0.000
0.000 8.469 0.000
0.000 0.000 5.654
Tb Tm Ni
8 2 8
direct
0.061 0.667 0.148
0.167 0.939 0.648
0.333 0.561 0.648
0.439 0.833 0.148
0.561 0.167 0.852
0.667 0.439 0.352
0.833 0.061 0.352
0.939 0.333 0.852
0.250 0.250 0.250
>>>

Wanted:
Quote the entries above verbatim.

Completed:
Record 1
PBE-GGA CuSn2Br6, relaxed; polymorph energy (0 for the lowest one) = 0 meV per atom; energy relative to the elements, uncorrected = -0.574 eV/atom
1.0
6.516 -9.282 0.000
6.516 9.282 0.000
-2.459 0.000 5.209
Cu Sn Br
2 4 12
direct
0.190 0.810 0.750
0.810 0.190 0.250
0.235 0.446 0.357
0.446 0.235 0.857
0.554 0.765 0.143
0.765 0.554 0.643
0.010 0.215 0.132
0.121 0.620 0.364
0.215 0.010 0.632
0.286 0.453 0.874
0.380 0.879 0.136
0.453 0.286 0.374
0.547 0.714 0.626
0.620 0.121 0.864
0.714 0.547 0.126
0.785 0.990 0.368
0.879 0.380 0.636
0.990 0.785 0.868

***

Record 2
PBE-GGA RbTi2BiCl, relaxed; energy relative to the elements, uncorrected = 0.418 eV/atom
1.0
5.329 0.000 0.000
0.000 5.329 0.000
0.000 0.000 7.963
Rb Ti Bi Cl
1 2 1 1
direct
0.000 0.000 0.000
0.000 0.500 0.500
0.500 0.000 0.500
0.500 0.500 0.500
0.500 0.500 0.000

***

Record 3
PBE-GGA Sm2Al2Pt5Au, relaxed; calculated formation energy = -0.859 eV/atom
1.0
9.872 0.000 0.000
0.000 9.872 0.000
0.000 0.000 3.761
Sm Al Pt Au
4 4 10 2
direct
0.180 0.320 0.000
0.320 0.820 0.000
0.680 0.180 0.000
0.820 0.680 0.000
0.118 0.618 0.000
0.382 0.118 0.000
0.618 0.882 0.000
0.882 0.382 0.000
0.000 0.500 0.500
0.061 0.789 0.500
0.211 0.061 0.500
0.289 0.561 0.500
0.439 0.289 0.500
0.500 0.000 0.500
0.561 0.711 0.500
0.711 0.439 0.500
0.789 0.939 0.500
0.939 0.211 0.500
0.000 0.000 0.000
0.500 0.500 0.000

***

Record 4
PBE-GGA Tb6Dy8Al, relaxed; calculated formation energy = 0.091 eV/atom
1.0
9.351 0.000 0.000
-4.676 8.098 0.000
0.000 0.000 6.222
Tb Dy Al
6 8 1
direct
0.093 0.638 0.188
0.362 0.455 0.188
0.455 0.093 0.812
0.545 0.907 0.188
0.638 0.545 0.812
0.907 0.362 0.812
0.041 0.780 0.697
0.220 0.261 0.697
0.261 0.041 0.303
0.333 0.667 0.687
0.667 0.333 0.313
0.739 0.959 0.697
0.780 0.739 0.303
0.959 0.220 0.303
0.000 0.000 0.000

***

Record 5
PBE-GGA CaTiP2Os, relaxed; calculated formation energy = -0.819 eV/atom
1.0
4.035 0.000 0.000
0.000 4.035 0.000
0.000 0.000 10.378
Ca Ti P Os
2 2 4 2
direct
0.000 0.000 0.000
0.500 0.500 0.500
0.000 0.500 0.250
0.500 0.000 0.750
0.000 0.000 0.380
0.000 0.000 0.620
0.500 0.500 0.120
0.500 0.500 0.880
0.000 0.500 0.750
0.500 0.000 0.250

***

Record 6
PBE-GGA Tb4TmNi4, relaxed; calculated formation energy = -0.263 eV/atom
1.0
8.469 0.000 0.000
0.000 8.469 0.000
0.000 0.000 5.654
Tb Tm Ni
8 2 8
direct
0.061 0.667 0.148
0.167 0.939 0.648
0.333 0.561 0.648
0.439 0.833 0.148
0.561 0.167 0.852
0.667 0.439 0.352
0.833 0.061 0.352
0.939 0.333 0.852
0.250 0.250 0.250